********
For DyMg2Ir, the PBE geometry in Alexandria gives the theoretical powder X-ray diffraction pattern in this record (Cu Kα X-rays).
Kinematic intensities with the Lorentz-polarization factor, no thermal factor.

Crystal structure
```
data_DyMg2Ir
_chemical_formula_sum 'Dy8 Mg16 Ir8'
_cell_length_a 15.3175
_cell_length_b 8.4029
_cell_length_c 5.3571
_cell_angle_alpha 90.00
_cell_angle_beta 90.00
_cell_angle_gamma 90.00
_space_group_name_H-M_alt 'P n m a'
_space_group_IT_number 62
loop_
_space_group_symop_operation_xyz
'x,y,z'
'-x,-y,-z'
'-x+1/2,-y,z+1/2'
'x+1/2,y,-z+1/2'
'x+1/2,-y+1/2,-z+1/2'
'-x+1/2,y+1/2,z+1/2'
'-x,y+1/2,-z'
'x,-y+1/2,z'
loop_
_atom_site_label
_atom_site_type_symbol
_atom_site_fract_x
_atom_site_fract_y
_atom_site_fract_z
Dy1 Dy 0.1066 0.2500 0.2451
Dy2 Dy 0.1368 0.7500 0.0484
Mg1 Mg 0.0416 0.0560 0.7325
Mg2 Mg 0.2115 0.5566 0.5357
Ir1 Ir 0.0658 0.7500 0.5491
Ir2 Ir 0.1886 0.2500 0.7336
```

Main lines, by angle (15 to 90 degrees two-theta):
2theta  d_spacing  I_rel
21.15  4.201  100
22.86  3.891  34
31.61  2.830  24
35.40  2.535  27
37.13  2.421  75
48.50  1.877  28

=====

Structure and computed X-ray powder pattern of CsSiI3 (a cell relaxed with GGA-PBE; copper Kα).
Neutral-atom scattering factors, no anomalous dispersion.

Structure:
```
5
Lattice="4.242 2.449 3.691 -4.242 2.449 3.691 0.000 -4.899 3.691" Properties=species:S:1:pos:R:3 pbc="T T T"
Cs 0.000 0.000 0.000
Si 0.000 0.000 5.112
I -2.004 -1.157 3.802
I 2.004 -1.157 3.802
I 0.000 2.315 3.802
```

Most intense lines, 2θ from 10° to 80°, in order of falling intensity:
2θ/deg, I/Imax
25.5, 100
29.2, 88
24.1, 41
40.8, 33
49.6, 32
42.6, 30
********
Set down the lines further up from the one with "_cell_length_a 15.3175" to the one with "'x+1/2,y,-z+1/2'" unchanged.
_cell_length_a 15.3175
_cell_length_b 8.4029
_cell_length_c 5.3571
_cell_angle_alpha 90.00
_cell_angle_beta 90.00
_cell_angle_gamma 90.00
_space_group_name_H-M_alt 'P n m a'
_space_group_IT_number 62
loop_
_space_group_symop_operation_xyz
'x,y,z'
'-x,-y,-z'
'-x+1/2,-y,z+1/2'
'x+1/2,y,-z+1/2'